-- What to do --
Please search the material further below for the word "species" and reproduce each line that has it.

-- Data --
<<<
# 1
The following is a DFT calculation (ωB97M-V/def2-TZVPD) of a 22-piece molecular cluster, C25H94O22 overall in a non-equilibrium geometry.

Results
molar mass: 747.005 g/mol
charge: 0
E_LUMO: -0.1795 eV
calculated total energy: -2664.00106 Eh

The geometry in XYZ format:
```
141
Properties=species:S:1:pos:R:3:mulliken_charge:R:1
C 2.499 -17.233 22.659 -0.271
O 2.211 -17.463 24.034 -0.553
H 3.547 -17.375 22.395 0.359
H 1.847 -17.809 22.002 0.202
H 2.365 -16.199 22.342 -0.035
H 2.658 -16.780 24.538 0.308
C 6.682 -13.198 22.447 -0.679
C 6.349 -14.692 22.058 0.469
O 6.508 -15.650 23.132 -0.576
H 7.738 -13.114 22.702 0.369
H 6.219 -12.767 23.335 0.051
H 6.468 -12.524 21.618 0.111
H 7.018 -14.968 21.244 0.095
H 5.333 -14.684 21.662 -0.171
H 5.726 -15.577 23.684 0.332
C 4.697 -15.512 18.604 0.262
C 4.986 -16.839 19.323 -0.005
O 4.966 -17.829 18.357 -0.574
H 3.840 -15.527 17.930 -0.622
H 5.509 -15.234 17.933 0.375
H 4.540 -14.708 19.323 0.052
H 4.234 -16.936 20.107 -0.188
H 5.984 -16.931 19.752 0.314
H 4.253 -18.377 18.694 0.355
C 0.139 -12.276 16.490 -0.744
C -0.992 -11.987 17.425 -0.019
O -2.217 -12.250 16.756 -0.555
H 0.279 -11.600 15.647 0.432
H 0.034 -13.267 16.048 0.329
H 1.110 -12.337 16.981 0.007
H -0.955 -11.000 17.885 0.303
H -0.968 -12.654 18.286 -0.084
H -2.762 -12.760 17.360 0.345
C 3.753 -11.398 14.163 -1.122
C 4.221 -10.443 15.273 1.194
O 5.638 -10.486 15.416 -0.623
H 4.086 -10.987 13.210 0.450
H 2.667 -11.455 14.240 0.212
H 4.088 -12.394 14.453 0.163
H 3.809 -10.738 16.238 -0.075
H 4.058 -9.382 15.085 -0.501
H 5.840 -9.817 16.075 0.429
C 8.378 -13.243 18.395 -1.311
C 7.187 -12.355 18.105 0.362
O 7.643 -11.022 17.840 -0.667
H 9.025 -12.907 19.205 0.419
H 9.097 -13.268 17.576 0.370
H 8.008 -14.213 18.728 0.277
H 6.523 -12.329 18.969 -0.020
H 6.591 -12.757 17.286 0.131
H 8.075 -10.706 18.637 0.305
C 3.618 -6.439 16.642 -0.129
C 3.565 -6.355 15.126 -0.458
O 2.215 -6.202 14.732 -0.569
H 4.658 -6.679 16.862 0.065
H 2.878 -7.190 16.920 -0.123
H 3.427 -5.490 17.144 0.339
H 3.863 -7.272 14.619 0.132
H 4.193 -5.500 14.874 0.400
H 1.819 -7.038 14.988 0.315
C -0.222 -10.071 20.956 -0.502
C -0.146 -9.944 22.508 -0.574
O 0.771 -8.898 22.798 -0.432
H 0.677 -10.489 20.504 -0.065
H -0.359 -9.067 20.554 0.428
H -1.051 -10.757 20.779 0.374
H 0.176 -10.868 22.989 0.063
H -1.115 -9.633 22.897 0.418
H 0.442 -8.063 22.457 0.249
C 4.283 -10.780 25.270 -0.924
C 2.750 -10.478 25.212 0.366
O 2.110 -11.476 26.019 -0.528
H 4.821 -10.237 24.492 0.070
H 4.472 -11.853 25.238 0.311
H 4.703 -10.434 26.215 0.435
H 2.401 -10.744 24.214 -0.491
H 2.390 -9.480 25.461 0.382
H 2.109 -11.057 26.883 0.312
C 1.641 -13.243 22.477 -0.298
C 0.777 -13.812 21.402 -0.425
O 1.567 -14.003 20.207 0.592
H 1.112 -13.126 23.423 0.659
H 1.971 -12.225 22.275 -0.655
H 2.541 -13.809 22.718 -0.002
H -0.118 -13.286 21.070 0.296
H 0.489 -14.811 21.729 0.418
H 1.649 -14.922 19.941 -0.298
C 3.367 -6.503 23.967 -0.522
C 2.511 -5.834 25.068 -0.623
O 3.334 -5.509 26.165 -0.548
H 4.044 -5.881 23.382 0.509
H 2.647 -6.980 23.301 -0.158
H 4.043 -7.255 24.373 0.295
H 1.654 -6.460 25.318 0.325
H 2.075 -4.897 24.721 0.354
H 3.959 -4.865 25.822 0.316
C 3.031 -14.735 15.406 0.131
C 3.058 -16.123 14.798 -0.818
O 1.784 -16.694 14.946 -0.522
H 4.020 -14.301 15.559 0.257
H 2.417 -14.770 16.306 -0.558
H 2.445 -14.021 14.827 0.437
H 3.732 -16.658 15.467 0.329
H 3.417 -16.063 13.771 0.357
H 1.141 -16.171 14.462 0.332
C 0.254 -15.661 17.635 -0.536
C 0.988 -16.933 18.079 -0.405
O 1.419 -16.761 19.429 -0.534
H 0.855 -14.766 17.795 -0.477
H -0.573 -15.599 18.343 0.535
H -0.073 -15.786 16.603 0.414
H 1.889 -17.082 17.483 0.206
H 0.365 -17.820 17.967 0.459
H 1.793 -17.607 19.685 0.201
O 6.539 -8.567 17.301 -0.594
H 7.207 -7.934 17.038 0.250
H 7.015 -9.390 17.407 0.434
O 5.030 -8.522 19.669 -0.491
H 5.449 -8.412 18.816 0.268
H 4.602 -9.377 19.619 -0.061
O 1.605 -9.543 17.589 -0.425
H 2.010 -10.228 18.120 0.185
H 1.557 -8.785 18.172 0.269
O 3.103 -11.332 19.690 0.663
H 2.536 -12.093 19.819 -0.254
>>>

-- Here it is --
Properties=species:S:1:pos:R:3:mulliken_charge:R:1